_Work order_
Now write out the data further down from the line with "_cell_length_b 3.244" to the end character by character.
_Source_
No. 1
# TeAsW2 (PBE, relaxed)
data_TeAsW2
_chemical_formula_sum 'Te2 As2 W4'
_cell_length_a 8.230
_cell_length_b 3.244
_cell_length_c 5.778
_cell_angle_alpha 90.00
_cell_angle_beta 103.46
_cell_angle_gamma 90.00
_space_group_name_H-M_alt 'C 1 2/m 1'
_space_group_IT_number 12
_space_group_name_Hall '-C 2y'
loop_
_atom_site_label
_atom_site_fract_x
_atom_site_fract_y
_atom_site_fract_z
Te1 0.000 0.000 0.000
As1 0.000 0.500 0.500
W1 0.245 0.000 0.689
# Energy: -62.91 eV/cell
# Offset from the most stable computed form: 377 meV per atom
# DOS(E_F): 6.0 states/eV/cell
# Energy relative to the elements, uncorrected: 561 meV per atom
# Crystal system: monoclinic

No. 2
# Li3Ac2Ag6 (PBE, relaxed)
data_Li3Ac2Ag6
_chemical_formula_sum 'Li6 Ac4 Ag12'
_cell_length_a 9.100
_cell_length_b 13.378
_cell_length_c 4.218
_cell_angle_alpha 90.00
_cell_angle_beta 90.00
_cell_angle_gamma 90.00
_space_group_name_H-M_alt 'C m m m'
_space_group_IT_number 65
_space_group_name_Hall '-C 2 2'
loop_
_atom_site_label
_atom_site_fract_x
_atom_site_fract_y
_atom_site_fract_z
Li1 0.000 0.000 0.000
Li2 0.175 0.000 0.500
Ac1 0.000 0.321 0.500
Ag1 0.148 0.500 0.000
Ag2 0.163 0.163 0.000
# Energy: -66.04 eV/cell
# DOS(E_F): 11.8 states/eV/cell
# ΔE_f: -2.0 eV per formula unit
# Crystal system: orthorhombic
_Written answer_
_cell_length_b 3.244
_cell_length_c 5.778
_cell_angle_alpha 90.00
_cell_angle_beta 103.46
_cell_angle_gamma 90.00
_space_group_name_H-M_alt 'C 1 2/m 1'
_space_group_IT_number 12
_space_group_name_Hall '-C 2y'
loop_
_atom_site_label
_atom_site_fract_x
_atom_site_fract_y
_atom_site_fract_z
Te1 0.000 0.000 0.000
As1 0.000 0.500 0.500
W1 0.245 0.000 0.689
# Energy: -62.91 eV/cell
# Offset from the most stable computed form: 377 meV per atom
# DOS(E_F): 6.0 states/eV/cell
# Energy relative to the elements, uncorrected: 561 meV per atom
# Crystal system: monoclinic

No. 2
# Li3Ac2Ag6 (PBE, relaxed)
data_Li3Ac2Ag6
_chemical_formula_sum 'Li6 Ac4 Ag12'
_cell_length_a 9.100
_cell_length_b 13.378
_cell_length_c 4.218
_cell_angle_alpha 90.00
_cell_angle_beta 90.00
_cell_angle_gamma 90.00
_space_group_name_H-M_alt 'C m m m'
_space_group_IT_number 65
_space_group_name_Hall '-C 2 2'
loop_
_atom_site_label
_atom_site_fract_x
_atom_site_fract_y
_atom_site_fract_z
Li1 0.000 0.000 0.000
Li2 0.175 0.000 0.500
Ac1 0.000 0.321 0.500
Ag1 0.148 0.500 0.000
Ag2 0.163 0.163 0.000
# Energy: -66.04 eV/cell
# DOS(E_F): 11.8 states/eV/cell
# ΔE_f: -2.0 eV per formula unit
# Crystal system: orthorhombic